More Than A Strand Of DNA

What comes next are materials data, not part of the page.
/*
Below is an optimized crystal structure of Nd2Si3Ir3, with properties calculated at the PBE-GGA level.

Cell: 2.8273 2.8273 20.6867 Å, 90.00 90.00 90.00°
With the nearest neighbours (Å) after each atom.
Fractional coordinates of all 8 atoms:
Nd (0.5000, 0.5000, 0.7601)  1 Ir 2.72, 4 Nd 2.83
Nd (0.5000, 0.5000, 0.2399)  1 Ir 2.72, 4 Nd 2.83
Si (0.5000, 0.5000, 0.3886)  1 Ir 2.31
Si (0.5000, 0.5000, 0.6114)  1 Ir 2.31
Si (0.5000, 0.5000, 0.0000)  2 Ir 2.24
Ir (0.5000, 0.5000, 0.1085)  1 Si 2.24
Ir (0.5000, 0.5000, 0.8915)  1 Si 2.24
Ir (0.5000, 0.5000, 0.5000)  2 Si 2.31

Properties
The energy of formation comes out at 725.4 meV per atom.

Below is an optimized crystal structure of Nd3Sn13Ir4, with properties calculated at the PBE-GGA level.

Cell: 9.8238 9.8238 9.8238 Å, 90.00 90.00 90.00°
With the nearest neighbours (Å) after each atom.
Fractional coordinates of all 40 atoms:
Nd (0.5000, 0.0000, 0.7500)  12 Sn 3.45-3.46, 4 Ir 3.47
Nd (0.0000, 0.2500, 0.5000)  12 Sn 3.45-3.46, 4 Ir 3.47
Nd (0.7500, 0.5000, 0.0000)  12 Sn 3.45-3.46, 4 Ir 3.47
Nd (0.5000, 0.0000, 0.2500)  12 Sn 3.45-3.46, 4 Ir 3.47
Nd (0.0000, 0.7500, 0.5000)  12 Sn 3.45-3.46, 4 Ir 3.47
Nd (0.2500, 0.5000, 0.0000)  12 Sn 3.45-3.46, 4 Ir 3.47
Sn (0.5000, 0.5000, 0.5000)  12 Sn 3.36
Sn (0.0000, 0.0000, 0.0000)  12 Sn 3.36
Sn (0.6525, 0.1943, 0.5000)  2 Ir 2.69, 1 Sn 3.00
Sn (0.8057, 0.5000, 0.6525)  2 Ir 2.69, 1 Sn 3.00
Sn (0.5000, 0.3475, 0.8057)  2 Ir 2.69, 1 Sn 3.00
Sn (0.3475, 0.8057, 0.5000)  2 Ir 2.69, 1 Sn 3.00
Sn (0.1943, 0.5000, 0.3475)  2 Ir 2.69, 1 Sn 3.00
Sn (0.5000, 0.6525, 0.1943)  2 Ir 2.69, 1 Sn 3.00
Sn (0.6525, 0.8057, 0.5000)  2 Ir 2.69, 1 Sn 3.00
Sn (0.8057, 0.5000, 0.3475)  2 Ir 2.69, 1 Sn 3.00
Sn (0.3475, 0.1943, 0.5000)  2 Ir 2.69, 1 Sn 3.00
Sn (0.1943, 0.5000, 0.6525)  2 Ir 2.69, 1 Sn 3.00
Sn (0.5000, 0.6525, 0.8057)  2 Ir 2.69, 1 Sn 3.00
Sn (0.5000, 0.3475, 0.1943)  2 Ir 2.69, 1 Sn 3.00
Sn (0.1525, 0.0000, 0.6943)  2 Ir 2.69, 1 Sn 3.00
Sn (0.3057, 0.1525, 0.0000)  2 Ir 2.69, 1 Sn 3.00
Sn (0.0000, 0.3057, 0.8475)  2 Ir 2.69, 1 Sn 3.00
Sn (0.8475, 0.0000, 0.3057)  2 Ir 2.69, 1 Sn 3.00
Sn (0.6943, 0.8475, 0.0000)  2 Ir 2.69, 1 Sn 3.00
Sn (0.0000, 0.6943, 0.1525)  2 Ir 2.69, 1 Sn 3.00
Sn (0.1525, 0.0000, 0.3057)  2 Ir 2.69, 1 Sn 3.00
Sn (0.3057, 0.8475, 0.0000)  2 Ir 2.69, 1 Sn 3.00
Sn (0.8475, 0.0000, 0.6943)  2 Ir 2.69, 1 Sn 3.00
Sn (0.6943, 0.1525, 0.0000)  2 Ir 2.69, 1 Sn 3.00
Sn (0.0000, 0.3057, 0.1525)  2 Ir 2.69, 1 Sn 3.00
Sn (0.0000, 0.6943, 0.8475)  2 Ir 2.69, 1 Sn 3.00
Ir (0.7500, 0.2500, 0.7500)  6 Sn 2.69
Ir (0.2500, 0.7500, 0.2500)  6 Sn 2.69
Ir (0.7500, 0.7500, 0.2500)  6 Sn 2.69
Ir (0.2500, 0.2500, 0.7500)  6 Sn 2.69
Ir (0.2500, 0.7500, 0.7500)  6 Sn 2.69
Ir (0.7500, 0.2500, 0.2500)  6 Sn 2.69
Ir (0.2500, 0.2500, 0.2500)  6 Sn 2.69
Ir (0.7500, 0.7500, 0.7500)  6 Sn 2.69

Properties
The energy of formation comes out at -505.0 meV per atom.

Below is an optimized crystal structure of Nd4Sn8Ir, with properties calculated at the PBE-GGA level.
*/

An article on a couple of behavioral health articles in the Baltimore Sun, Psychiatric diagnoses prone to abuse, poses the question: why are psychiatric diagnoses particularly prone to misdiagnosis and overdiagnosis? And then supplies the following answer:

**Unrelated to this text: records of crystals:**
This record from Materials Project describes SrGa12O19 after structural relaxation. The functional is GGA-PBE.

a b c (Å): 5.8758 5.8758 23.1330
angles (deg): 90.00 90.00 120.00
Fractional coordinates of all 64 atoms:
Sr: 0.3333 0.6667 0.0000
Sr: 0.6667 0.3333 0.5000
Ga: 0.0000 0.0000 0.0080
Ga: 0.0000 0.0000 0.2511
Ga: 0.0000 0.0000 0.5080
Ga: 0.0000 0.0000 0.7511
Ga: 0.1677 0.3354 0.8605
Ga: 0.1677 0.8323 0.8605
Ga: 0.1690 0.3380 0.1418
Ga: 0.1690 0.8310 0.1418
Ga: 0.3333 0.6667 0.2782
Ga: 0.3333 0.6667 0.4402
Ga: 0.3333 0.6667 0.5609
Ga: 0.3333 0.6667 0.7237
Ga: 0.3354 0.1677 0.3605
Ga: 0.3380 0.1690 0.6418
Ga: 0.6620 0.8310 0.1418
Ga: 0.6646 0.8323 0.8605
Ga: 0.6667 0.3333 0.0609
Ga: 0.6667 0.3333 0.2237
Ga: 0.6667 0.3333 0.7782
Ga: 0.6667 0.3333 0.9402
Ga: 0.8310 0.1690 0.6418
Ga: 0.8310 0.6620 0.6418
Ga: 0.8323 0.1677 0.3605
Ga: 0.8323 0.6646 0.3605
O: 0.0000 0.0000 0.1004
O: 0.0000 0.0000 0.3996
O: 0.0000 0.0000 0.6004
O: 0.0000 0.0000 0.8996
O: 0.0095 0.5047 0.9011
O: 0.0100 0.5050 0.1006
O: 0.1552 0.3103 0.6980
O: 0.1552 0.8448 0.6980
O: 0.1558 0.3115 0.3030
O: 0.1558 0.8442 0.3030
O: 0.1819 0.3639 0.5013
O: 0.1819 0.8181 0.5013
O: 0.3103 0.1552 0.1980
O: 0.3115 0.1558 0.8030
O: 0.3333 0.6667 0.1957
O: 0.3333 0.6667 0.8059
O: 0.3639 0.1819 0.0013
O: 0.4950 0.5050 0.1006
O: 0.4953 0.5047 0.9011
O: 0.4950 0.9900 0.1006
O: 0.4953 0.9905 0.9011
O: 0.5047 0.0095 0.4011
O: 0.5050 0.0100 0.6006
O: 0.5047 0.4953 0.4011
O: 0.5050 0.4950 0.6006
O: 0.6361 0.8181 0.5013
O: 0.6667 0.3333 0.3059
O: 0.6667 0.3333 0.6957
O: 0.6885 0.8442 0.3030
O: 0.6897 0.8448 0.6980
O: 0.8181 0.1819 0.0013
O: 0.8181 0.6361 0.0013
O: 0.8442 0.1558 0.8030
O: 0.8442 0.6885 0.8030
O: 0.8448 0.1552 0.1980
O: 0.8448 0.6897 0.1980
O: 0.9900 0.4950 0.6006
O: 0.9905 0.4953 0.4011

As for the total moment: 0.0 Bohr magnetons per cell. The calculation puts the energy of formation from the pure elements at -74.778 eV per formula unit. The density comes out at 5.9 g/cm³. Its energy with MP2020 corrections is -6.463 eV per atom. Its crystal system is hexagonal. The total energy comes out at -0.44504 Ry per atom.

This record from Materials Project describes Tb3SiBr3 after structural relaxation. The functional is GGA-PBE.

a b c (Å): 10.1030 10.1030 10.1030
angles (deg): 109.47 109.47 109.47
Fractional coordinates of all 28 atoms:
Tb: 0.0126 0.0252 0.2626
Tb: 0.0126 0.4874 0.7500
Tb: 0.0252 0.2626 0.0126
Tb: 0.2374 0.2626 0.7500
Tb: 0.2374 0.4748 0.4874
Tb: 0.2626 0.0126 0.0252
Tb: 0.2626 0.7500 0.2374
Tb: 0.4748 0.4874 0.2374
Tb: 0.4874 0.2374 0.4748
Tb: 0.4874 0.7500 0.0126
Tb: 0.7500 0.0126 0.4874
Tb: 0.7500 0.2374 0.2626
Si: 0.0000 0.2500 0.5000
Si: 0.2500 0.2500 0.2500
Si: 0.2500 0.5000 0.0000
Si: 0.5000 0.0000 0.2500
Br: 0.2500 0.7546 0.7454
Br: 0.2500 0.9954 0.5046
Br: 0.5046 0.2500 0.9954
Br: 0.5046 0.7546 0.5093
Br: 0.5093 0.5046 0.7546
Br: 0.7454 0.2500 0.7546
Br: 0.7454 0.9954 0.9907
Br: 0.7546 0.5093 0.5046
Br: 0.7546 0.7454 0.2500
Br: 0.9907 0.7454 0.9954

The reason is that psychiatric diagnosis is not based on pathological criteria. The closest the article comes to addressing this problem is the statement that “Even in the best clinical scenario, a psychiatric diagnosis is tricky, experts say; doctors have no X-rays to help apply the criteria defining a mental illness.”

My point is that if these diagnoses are not based on pathological criteria they’re not “diseases” in the strict sense of the word.

In fact a diagnosis can never be indisputably ruled in or ruled out in psychiatry. All we have is testimony by differing psychiatrists, psychologists and social workers. In somatic medicine there is an array of pathological tests which often permit much greater diagnostic certainty. A biopsy of a lump in the breast will almost always tell you whether it’s benign or malignant.

Note the mention of somatic medicine above. Antonyms for somatic are mental and spiritual.

Excuse me if I contradict a lot of the more popular views and theories being bandied about currently, but the opposite of a physical malady is not a physical malady. I’m not at all surprised that psychiatrists have not had very much success at relieving psychological and spiritual crises by treating them as physiological “illnesses”.

If you look at the work being done on the genetics of this endeavor you can see how it gets even further afield. Take, for instance, a recent article on the subject in the New York Times, Genes as Mirrors of Life Experiences.

For decades, researchers have ransacked the genetic pedigrees of people with mental illness, looking for common variations that combine to cause devastating conditions like schizophrenia and bipolar disorder. The search has stalled badly; while these disorders may involve genetic disruptions, no underlying patterns have surfaced — no single gene or genes that account for more than a tiny fraction of cases.

Perhaps our understanding of what we refer to as “mental illness” is not on the verge of the major breakthroughs that some of us thought it was.

So scientists are turning their focus to an emerging field: epigenetics, the study of how people’s experience and environment affect the function of their genes.

Whoa! You can’t find the gene or genes, but you can’t dispense with your theory, voila, epigenetics. When it comes to admitting failure, these doctor researchers take the cake. They are just incapable of going there.

Now we’re talking about experience and environment affecting the genes. Right. Somehow its become much more complicated than a matter of this person with these genes bangs that person with those genes and, whoops, you’ve got your big fat boo boo. Try to ignore the fact that we’re also talking environmental and experiential factors here as well. Maybe there were a lot of social factors involved in the production of the odd ball despite our atomistic presumptions.

I feel that much of this research is a matter of looking at junk DNA, and this junk DNA is a by product of living the kind of a hard life most people bearing “mental illness” labels often find themselves enduring. How did this life get to be so hard? Why, of course, somebody detected the presence of a “serious mental illness” in this person or that, maybe when they were only a kid or a teenager, and the next thing you know the expectations for this or that person take a nose dive, career and success-wise. The opportunity market locks them out. That’s a lot of environmental and experiential impact on the their genetic material. Yeah, sure.

[1]
First-principles (PBE) data for a relaxed structure of PrSbIr, as listed in the Materials Project database.

Summary:
**Energy of formation from the pure elements**: -246 kJ/mol of formula units
**Space group**: No. 62

Unit cell a=7.5007 b=4.6065 c=8.0295 alpha=90.00 beta=90.00 gamma=90.00
Last column: nearest neighbours and their distance in Å.
Positions (direct):
Pr1 0.0168 0.2500 0.1905  5 Ir 3.11-3.40, 6 Sb 3.25-3.40
Pr2 0.4832 0.7500 0.6905  5 Ir 3.11-3.40, 6 Sb 3.25-3.40
Pr3 0.5168 0.2500 0.3095  5 Ir 3.11-3.40, 6 Sb 3.25-3.40
Pr4 0.9832 0.7500 0.8095  5 Ir 3.11-3.40, 6 Sb 3.25-3.40
Sb1 0.1740 0.2500 0.5872  4 Ir 2.72-2.80
Sb2 0.3260 0.7500 0.0872  4 Ir 2.72-2.80
Sb3 0.6740 0.2500 0.9128  4 Ir 2.72-2.80
Sb4 0.8260 0.7500 0.4128  4 Ir 2.72-2.80
Ir1 0.1997 0.7500 0.4080  4 Sb 2.72-2.80
Ir2 0.3003 0.2500 0.9080  4 Sb 2.72-2.80
Ir3 0.6997 0.7500 0.0920  4 Sb 2.72-2.80
Ir4 0.8003 0.2500 0.5920  4 Sb 2.72-2.80

***

[2]
First-principles (PBE) data for a relaxed structure of SmAl3Pb2O8, as listed in the Materials Project database.

Summary:
**Energy of formation from the pure elements**: -4029 kJ/mol of formula units
**Total moment**: 0.001 μB per formula unit
**Space group**: No. 224

Unit cell a=9.5992 b=9.5992 c=9.5992 alpha=90.00 beta=90.00 gamma=90.00
Last column: nearest neighbours and their distance in Å.
Positions (direct):
Sm1 0.0000 0.0000 0.0000  8 O 2.32-2.59
Sm2 0.0000 0.5000 0.5000  8 O 2.32-2.59
Sm3 0.5000 0.0000 0.5000  8 O 2.32-2.59
Sm4 0.5000 0.5000 0.0000  8 O 2.32-2.59
Al1 0.0000 0.2500 0.7500  4 O 1.76
Al2 0.0000 0.7500 0.2500  4 O 1.76
Al3 0.2500 0.0000 0.7500  4 O 1.76
Al4 0.2500 0.5000 0.7500  4 O 1.76
Al5 0.2500 0.7500 0.0000  4 O 1.76
Al6 0.2500 0.7500 0.5000  4 O 1.76
Al7 0.5000 0.2500 0.7500  4 O 1.76
Al8 0.5000 0.7500 0.2500  4 O 1.76
Al9 0.7500 0.0000 0.2500  4 O 1.76
Al10 0.7500 0.2500 0.0000  4 O 1.76
Al11 0.7500 0.2500 0.5000  4 O 1.76
Al12 0.7500 0.5000 0.2500  4 O 1.76
Pb1 0.1168 0.1168 0.3832  3 O 2.36
Pb2 0.1168 0.3832 0.1168  3 O 2.36
Pb3 0.3832 0.1168 0.1168  3 O 2.36
Pb4 0.3832 0.3832 0.3832  3 O 2.36
Pb5 0.6168 0.6168 0.6168  3 O 2.36
Pb6 0.6168 0.8832 0.8832  3 O 2.36
Pb7 0.8832 0.6168 0.8832  3 O 2.36
Pb8 0.8832 0.8832 0.6168  3 O 2.36
O1 0.0927 0.0927 0.7640  2 Al 1.76
O2 0.0927 0.4073 0.7360  2 Al 1.76
O3 0.0927 0.7360 0.4073  2 Al 1.76
O4 0.0927 0.7640 0.0927  2 Al 1.76
O5 0.1395 0.1395 0.1395  1 Sm 2.32, 3 Pb 2.36
O6 0.1395 0.3605 0.3605  1 Sm 2.32, 3 Pb 2.36
O7 0.2360 0.5927 0.5927  2 Al 1.76
O8 0.2360 0.9073 0.9073  2 Al 1.76
O9 0.2640 0.5927 0.9073  2 Al 1.76
O10 0.2640 0.9073 0.5927  2 Al 1.76
O11 0.3605 0.1395 0.3605  1 Sm 2.32, 3 Pb 2.36
O12 0.3605 0.3605 0.1395  1 Sm 2.32, 3 Pb 2.36
O13 0.4073 0.0927 0.7360  2 Al 1.76
O14 0.4073 0.4073 0.7640  2 Al 1.76
O15 0.4073 0.7360 0.0927  2 Al 1.76
O16 0.4073 0.7640 0.4073  2 Al 1.76
O17 0.5927 0.2360 0.5927  2 Al 1.76
O18 0.5927 0.2640 0.9073  2 Al 1.76
O19 0.5927 0.5927 0.2360  2 Al 1.76
O20 0.5927 0.9073 0.2640  2 Al 1.76

Then turn your angle of vision and look, for instance, at the labeled person and his or her relationships. Maybe it’s these relationships that need to be readjusted, transformed, or severed. I would say also look at the relationship of the researcher to the labeled person. Perhaps that relationship could bear some changing, too. Sometimes the researcher seems to forget that this relationship even exists. In such cases I would heartily recommend taking a few classes in the humanities.